### File
********
1.
A plane-wave DFT calculation with PBE was carried out for a relaxed structure of CsNaTl3Au.

**SG**: Cmcm, No. 63
**Calculated formation energy**: -65 meV/atom
**M_tot**: 0.00 μB per formula unit
**Total DFT energy (no corrections)**: -0.079 Ha/atom

Geometry as POSCAR:
```
CsNaTl3Au
1.0
-5.618 -3.529 2.369
4.427 -4.739 3.439
-2.357 7.058 4.926
Cs Na Tl Au
2 2 6 2
direct
0.750 0.290 0.581
0.250 0.710 0.419
0.250 0.368 0.736
0.750 0.632 0.264
0.250 0.140 0.280
0.000 0.261 0.000
0.500 0.739 0.000
0.500 0.261 0.000
0.000 0.739 0.000
0.750 0.860 0.720
0.250 0.917 0.835
0.750 0.083 0.165
```

***

2.
A plane-wave DFT calculation with PBE was carried out for a relaxed structure of CsNaTlAu.

**SG**: Amm2, No. 38
**Calculated formation energy**: -166 meV/atom
**M_tot**: 0.00 μB per formula unit
**Total DFT energy (no corrections)**: -0.078 Ha/atom

Geometry as POSCAR:
```
CsNaTlAu
1.0
-2.623 -3.804 0.081
3.172 -2.250 -2.967
5.025 -0.535 5.779
Cs Na Tl Au
1 1 1 1
direct
0.740 0.500 0.480
0.998 0.000 0.996
0.468 0.500 0.936
0.364 0.000 0.727
```

***

3.
A plane-wave DFT calculation with PBE was carried out for a relaxed structure of Cs2NaTlAu.

**SG**: P4/mmm, No. 123
**Calculated formation energy**: -19 meV/atom
**M_tot**: 0.01 μB per formula unit
**Total DFT energy (no corrections)**: -0.064 Ha/atom

Geometry as POSCAR:
```
Cs2NaTlAu
1.0
-2.927 5.835 -2.210
-0.437 -2.627 -6.356
-5.156 -2.120 1.231
Cs Na Tl Au
2 1 1 1
direct
0.000 0.500 0.000
0.500 0.000 0.000
0.000 0.000 0.500
0.500 0.500 0.500
0.000 0.000 0.000
```

***

4.
A plane-wave DFT calculation with PBE was carried out for a relaxed structure of CsNa2ZnAu.

**SG**: P4/mmm, No. 123
**Calculated formation energy**: -97 meV/atom
**M_tot**: 0.00 μB per formula unit
**Total DFT energy (no corrections)**: -0.063 Ha/atom

Geometry as POSCAR:
```
CsNa2ZnAu
1.0
5.821 0.000 0.000
0.000 5.821 0.000
0.000 0.000 5.145
Cs Na Zn Au
1 2 1 1
direct
0.500 0.500 0.500
0.000 0.500 0.000
0.500 0.000 0.000
0.000 0.000 0.500
0.000 0.000 0.000
```

***

5.
A plane-wave DFT calculation with PBE was carried out for a relaxed structure of CsNaZnAu.

**SG**: R3m, No. 160
**Calculated formation energy**: -173 meV/atom
**M_tot**: 0.00 μB per formula unit
**Total DFT energy (no corrections)**: -0.068 Ha/atom

Geometry as POSCAR:
```
CsNaZnAu
1.0
-0.381 -3.543 2.950
4.180 1.626 -1.133
-1.472 6.846 4.410
Cs Na Zn Au
1 1 1 1
direct
0.375 0.053 0.428
0.019 0.874 0.893
0.815 0.272 0.088
0.483 0.606 0.089
```

***

6.
A plane-wave DFT calculation with PBE was carried out for a relaxed structure of CsNa2ZnAu.

**SG**: P4/mmm, No. 123
**Calculated formation energy**: -30 meV/atom
**M_tot**: 0.00 μB per formula unit
**Total DFT energy (no corrections)**: -0.060 Ha/atom

Geometry as POSCAR:
```
CsNa2ZnAu
1.0
5.786 0.000 0.000
0.000 5.786 0.000
0.000 0.000 5.116
Cs Na Zn Au
1 2 1 1
direct
0.500 0.500 0.500
0.000 0.500 0.000
0.500 0.000 0.000
0.000 0.000 0.000
0.000 0.000 0.500
```
********
### Brief
Your job: reproduce only the lines earlier on with the word "of" in them.
### Solution
A plane-wave DFT calculation with PBE was carried out for a relaxed structure of CsNaTl3Au.
A plane-wave DFT calculation with PBE was carried out for a relaxed structure of CsNaTlAu.
A plane-wave DFT calculation with PBE was carried out for a relaxed structure of Cs2NaTlAu.
A plane-wave DFT calculation with PBE was carried out for a relaxed structure of CsNa2ZnAu.
A plane-wave DFT calculation with PBE was carried out for a relaxed structure of CsNaZnAu.
A plane-wave DFT calculation with PBE was carried out for a relaxed structure of CsNa2ZnAu.